Request:
Copy the part of the lines below that starts with the line with "and charge" and stops after the one with "2.152)".

File:
/*
[1]
# C27H41N8O7

An isolated ion of composition C27H41N8O7 and charge +1 (ωB97M-V/def2-TZVPD, OMol25).

Each line ends with the Mulliken charge.
Element x y z (Å)
C (-3.094, -3.311, 1.522)  -1.482
H (-3.645, -4.117, 2.001)  0.491
H (-2.229, -3.089, 2.140)  0.361
H (-3.737, -2.435, 1.509)  0.241
C (-2.716, -3.743, 0.105)  0.492
C (-3.980, -3.870, -0.747)  -1.458
H (-4.456, -2.902, -0.881)  0.224
H (-4.687, -4.536, -0.261)  0.438
H (-3.750, -4.273, -1.730)  0.419
H (-2.255, -4.733, 0.154)  0.437
C (-1.732, -2.801, -0.619)  0.100
N (-0.363, -2.776, -0.074)  0.111
C (0.413, -1.787, -0.527)  -0.283
O (-0.006, -0.967, -1.346)  -0.911
C (1.828, -1.575, 0.027)  -0.307
N (1.999, -0.136, 0.127)  0.795
C (1.224, 0.553, 0.969)  0.153
O (0.450, 0.033, 1.752)  -0.706
C (1.365, 2.084, 0.902)  0.494
N (0.330, 2.637, 1.744)  -0.004
C (-0.740, 3.256, 1.208)  0.208
O (-0.755, 3.718, 0.082)  -0.565
C (-1.940, 3.344, 2.152)  -0.868
N (-2.229, 2.074, 2.777)  -0.030
C (-2.433, 0.858, 2.219)  -0.198
O (-2.598, -0.113, 2.924)  -0.664
C (-2.474, 0.730, 0.686)  2.506
N (-2.171, -0.669, 0.444)  0.603
C (-2.270, -1.364, -0.693)  -0.874
O (-2.783, -0.944, -1.721)  -0.759
H (-1.788, -1.125, 1.263)  0.462
H (-1.690, 1.346, 0.234)  -1.529
C (-3.861, 1.175, 0.158)  -1.074
H (-4.505, 1.394, 1.013)  0.437
H (-4.310, 0.339, -0.376)  0.461
C (-3.837, 2.399, -0.769)  -0.160
H (-4.831, 2.848, -0.767)  0.445
C (-3.485, 2.071, -2.226)  -1.469
N (-2.137, 1.562, -2.359)  -0.004
C (-1.021, 2.255, -2.459)  0.831
N (-1.024, 3.573, -2.713)  -0.459
H (-0.172, 4.090, -2.576)  0.260
N (0.142, 1.609, -2.388)  -0.258
H (1.012, 2.088, -2.547)  0.115
H (0.158, 0.614, -2.168)  0.450
H (-2.103, 0.545, -2.200)  0.161
H (-1.869, 4.095, -2.559)  0.227
H (-4.146, 1.284, -2.593)  0.420
H (-3.627, 2.956, -2.852)  0.429
H (-3.129, 3.142, -0.403)  -0.020
H (-2.281, 2.054, 3.787)  0.309
H (-2.801, 3.724, 1.593)  0.310
H (-1.707, 4.068, 2.936)  0.504
H (0.195, 2.133, 2.613)  0.470
C (2.769, 2.554, 1.296)  -1.640
C (3.724, 2.458, 0.128)  0.676
O (3.394, 2.141, -0.990)  -0.615
O (4.961, 2.761, 0.467)  -0.477
H (5.575, 2.687, -0.284)  0.452
H (2.732, 3.601, 1.609)  0.403
H (3.175, 1.978, 2.129)  0.351
H (1.159, 2.419, -0.122)  0.056
H (2.531, 0.339, -0.590)  0.122
H (1.917, -1.976, 1.041)  0.740
C (2.899, -2.149, -0.909)  -0.846
C (4.256, -1.624, -0.519)  0.261
C (4.870, -2.059, 0.650)  -0.305
C (6.091, -1.539, 1.039)  -0.840
C (6.716, -0.577, 0.262)  -0.514
C (6.116, -0.146, -0.908)  -0.897
C (4.892, -0.663, -1.295)  -0.077
H (4.435, -0.324, -2.213)  0.384
H (6.608, 0.586, -1.532)  0.643
H (7.671, -0.175, 0.565)  0.419
H (6.559, -1.888, 1.947)  0.429
H (4.393, -2.816, 1.256)  0.430
H (2.881, -3.239, -0.854)  0.544
H (2.664, -1.854, -1.933)  0.519
C (0.135, -3.951, 0.605)  -1.124
H (-0.388, -4.105, 1.548)  0.278
H (-0.009, -4.831, -0.027)  0.391
H (1.196, -3.857, 0.809)  0.494
H (-1.670, -3.134, -1.666)  0.463

Cartesian forces (eV/Å) of the 3 atoms listed first:
0.0 -0.2 -0.1
0.0 -0.1 0.1
0.1 0.1 0.2

Results
Total charge: +1
E_LUMO, eV: -1.8
Highest occupied orbital energy, eV: -11.7
Spin multiplicity: 1

---

[2]
# C4H2O2

A single C4H2O2 molecule in a non-equilibrium geometry (ωB97M-V/def2-TZVPD, OMol25).

Each line ends with the Mulliken charge.
Element x y z (Å)
O (1.174, 1.177, 0.965)  -0.428
C (0.653, 0.852, -0.073)  -0.042
C (-0.124, -1.529, 0.262)  0.946
O (0.555, -2.428, 0.535)  -0.320
C (-1.095, -0.650, -0.021)  -0.761
C (-0.832, 0.644, -0.238)  -0.112
H (1.226, 0.502, -0.957)  0.361
H (-1.557, 1.432, -0.472)  0.356

Cartesian forces (eV/Å) of the 3 atoms listed first:
-0.2 0.1 -0.6
0.0 0.5 0.2
0.2 -1.0 0.2

Results
Total charge: 0
E_LUMO, eV: -1.0
Highest occupied orbital energy, eV: -9.5
Spin multiplicity: 1

---

HOMO-LUMO gap: 9.88 8.56 (eV)
Relative energy (zero: lowest compared OMol25 entry of this formula, charge and spin): 0.0 58.0 (kJ/mol)

=====

1.
Computed, not measured: a cluster of 6 separate species, CH14O6 in total, with wB97M-V/def2-TZVPD.
*/

Outcome:
An isolated ion of composition C27H41N8O7 and charge +1 (ωB97M-V/def2-TZVPD, OMol25).

Each line ends with the Mulliken charge.
Element x y z (Å)
C (-3.094, -3.311, 1.522)  -1.482
H (-3.645, -4.117, 2.001)  0.491
H (-2.229, -3.089, 2.140)  0.361
H (-3.737, -2.435, 1.509)  0.241
C (-2.716, -3.743, 0.105)  0.492
C (-3.980, -3.870, -0.747)  -1.458
H (-4.456, -2.902, -0.881)  0.224
H (-4.687, -4.536, -0.261)  0.438
H (-3.750, -4.273, -1.730)  0.419
H (-2.255, -4.733, 0.154)  0.437
C (-1.732, -2.801, -0.619)  0.100
N (-0.363, -2.776, -0.074)  0.111
C (0.413, -1.787, -0.527)  -0.283
O (-0.006, -0.967, -1.346)  -0.911
C (1.828, -1.575, 0.027)  -0.307
N (1.999, -0.136, 0.127)  0.795
C (1.224, 0.553, 0.969)  0.153
O (0.450, 0.033, 1.752)  -0.706
C (1.365, 2.084, 0.902)  0.494
N (0.330, 2.637, 1.744)  -0.004
C (-0.740, 3.256, 1.208)  0.208
O (-0.755, 3.718, 0.082)  -0.565
C (-1.940, 3.344, 2.152)  -0.868